Sunday, December 31, 2023


these loose marks are somewhat representative of how things are with me creatively

random,  incomplete... a lot of fits and starts

looking back over the year's blog posts there was a recurring theme - a bit of time available for creative work and then long periods of almost none as other things took precedence

what I have done has been good though

 a lot of discovering, a lot of thinking

I'm ready for some action though

during this in-between time I have gathered a few objects important to me and have had them on my work table for some time now

I've analyzed them in a few ways, thinking about colour and shape, marks etc

then a page of circles using the solid silver napkin ring to draw around
(the circles are all complete, the photo just cut some off and it's too dark with fog to re-take it)

[Next to the text, the page also holds materials data]
Entry 1:
A plane-wave DFT calculation with PBE was carried out for an optimized crystal structure of GdYHgGe.

a b c (Å): 7.337 7.337 7.337
angles (deg): 90.00 90.00 90.00
Space group F-43m (No. 216)
Symmetry-distinct sites (fractional):
Gd 0.000 0.000 0.000
Y 0.000 0.000 0.500
Hg 0.250 0.250 0.750
Ge 0.250 0.250 0.250

Entry 2:
A plane-wave DFT calculation with PBE was carried out for an optimized crystal structure of GdHoGe4.

a b c (Å): 7.970 7.970 7.970
angles (deg): 90.00 90.00 90.00
Space group F-43m (No. 216)
Symmetry-distinct sites (fractional):
Gd 0.000 0.000 0.000
Ho 0.250 0.250 0.250
Ge 0.125 0.125 0.625

Entry 3:
A plane-wave DFT calculation with PBE was carried out for an optimized crystal structure of GdHoGe.

* energy above the most stable polymorph in this dataset: 0.153 eV per atom

a b c (Å): 4.7272 4.7272 4.1513
angles (deg): 90.00 90.00 120.00
Space group P3m1 (No. 156)
Symmetry-distinct sites (fractional):
Gd 0.0000 0.0000 0.0000
Ho 0.3333 0.6667 0.4770
Ge 0.6667 0.3333 0.6557

Entry 4:
A plane-wave DFT calculation with PBE was carried out for an optimized crystal structure of GdHoGe.

* energy above the most stable polymorph in this dataset: 0.000 eV per atom

a b c (Å): 6.921 6.921 6.921
angles (deg): 90.00 90.00 90.00
Space group F-43m (No. 216)
Symmetry-distinct sites (fractional):
Gd 0.000 0.000 0.000
Ho 0.000 0.000 0.500
Ge 0.250 0.250 0.250

Entry 5:
A plane-wave DFT calculation with PBE was carried out for an optimized crystal structure of GdHoGe.

* energy above the most stable polymorph in this dataset: 0.096 eV per atom

a b c (Å): 3.841 3.841 10.261
angles (deg): 90.00 90.00 90.00
Space group I4mm (No. 107)
Symmetry-distinct sites (fractional):
Gd 0.000 0.000 0.000
Ho 0.000 0.000 0.707
Ge 0.000 0.000 0.346

Entry 6:
A plane-wave DFT calculation with PBE was carried out for an optimized crystal structure of GdHoInGe.

a b c (Å): 7.376 7.376 7.376
angles (deg): 90.00 90.00 90.00
Space group F-43m (No. 216)
Symmetry-distinct sites (fractional):
Gd 0.000 0.000 0.000
Ho 0.000 0.000 0.500
In 0.250 0.250 0.750
Ge 0.250 0.250 0.250

Entry 7:
A plane-wave DFT calculation with PBE was carried out for an optimized crystal structure of GdHoGeIr.

that napkin ring my grandfather's, one single gold nugget centred on it

plain, simple, elegant

today I began filling the circles with marks inspired by the objects

for the next couple of days I'll keep circling back to this; when it's finished I'll do a colour study of a sort

simple exercises that have me looking, thinking, and doing whilst everyday life begins it's slow journey into 2024 and all that it will hold

as this challenging year draws to it's close I'll wish for you what I hope for myself

peace in your soul

for as Max Ehrmann wrote almost 100 years ago:

"and whatever your labours and aspirations, in the noisy confusion of life, keep peace in your life. With all it's sham, drudgery, and broken dreams, it is still a beautiful world"


Christine Barnes said...

I love the feeling of pause and reflection in this post. Arranging a few well chosen objects together connects them to each other as a group but then the circling of each precious thing to contain their details is a wonderful way to focus closely on each one. Everything in this world is unique. Your circles act as a kind of microscope, zooming in, noticing and marvelling at what the eye often glosses over. Here's to entering the new year with curiosity for the things.... and people... around us ... I hope 2024 will bring peace, happiness and a fresh wonderment and respect for our struggling but astonishingly beautiful world.

Rachel said...

I do like what you are doing here. Quiet, meditative, thoughtful (not at all the same thing, when it comes to it, are they?).

Magpie's Mumblings said...

Peace in our souls - that's something we can all strive (and hope) for. For some reason I'm thinking of the circle of life when I see your circles. Not sure I possess enough brain-power at the moment to make sense of that thought but that's okay too.